Entries:
DFT (PBE) results for crystalline VGa2Ni7Pt2 at its relaxed geometry.

Lattice parameters (Å, degrees): 3.4008 3.4008 13.7846 96.15 96.15 89.93
Positions (direct):
V 0.0000 0.0000 0.0000
Ga 0.1610 0.1610 0.3600
Ga 0.8390 0.8390 0.6400
Ni 0.0574 0.5572 0.1326
Ni 0.2662 0.2662 0.5364
Ni 0.4428 0.9426 0.8674
Ni 0.5000 0.5000 0.0000
Ni 0.5572 0.0574 0.1326
Ni 0.7338 0.7338 0.4636
Ni 0.9426 0.4428 0.8674
Pt 0.3786 0.3786 0.7224
Pt 0.6214 0.6214 0.2776



DFT (PBE) results for crystalline V2Ga2Ni7Pt at its relaxed geometry.

Lattice parameters (Å, degrees): 3.6426 3.6426 11.4039 90.00 90.00 90.12
Positions (direct):
V 0.0000 0.0000 0.1766
V 0.0000 0.0000 0.8234
Ga 0.5000 0.5000 0.1892
Ga 0.5000 0.5000 0.8108
Ni 0.0000 0.0000 0.5000
Ni 0.0000 0.5000 0.3363
Ni 0.0000 0.5000 0.6637
Ni 0.2546 0.7454 0.0000
Ni 0.5000 0.0000 0.3363
Ni 0.5000 0.0000 0.6637
Ni 0.7454 0.2546 0.0000
Pt 0.5000 0.5000 0.5000



DFT (PBE) results for crystalline YGaNiPt3 at its relaxed geometry.

Lattice parameters (Å, degrees): 7.0173 7.0173 5.6776 90.00 90.00 132.33
Positions (direct):
Y 0.1818 0.8182 0.7500
Y 0.8182 0.1818 0.2500
Ga 0.1295 0.8705 0.2500
Ga 0.8705 0.1295 0.7500
Ni 0.3777 0.6223 0.7500
Ni 0.6223 0.3777 0.2500
Pt 0.2511 0.2511 0.0000
Pt 0.2511 0.2511 0.5000
Pt 0.3249 0.6751 0.2500
Pt 0.6751 0.3249 0.7500
Pt 0.7489 0.7489 0.0000
Pt 0.7489 0.7489 0.5000



DFT (PBE) results for crystalline Y2Ga3Ni12Pt at its relaxed geometry.

Lattice parameters (Å, degrees): 9.6573 9.6573 9.6573 35.50 35.50 35.50
Positions (direct):
Y 0.1412 0.1412 0.1412
Y 0.8588 0.8588 0.8588
Ga 0.0000 0.5000 0.5000
Ga 0.5000 0.0000 0.5000
Ga 0.5000 0.5000 0.0000
Ni 0.0645 0.6223 0.6223
Ni 0.0858 0.0858 0.6891
Ni 0.0858 0.6891 0.0858
Ni 0.3109 0.9142 0.9142
Ni 0.3777 0.3777 0.9355
Ni 0.3777 0.9355 0.3777
Ni 0.6223 0.0645 0.6223
Ni 0.6223 0.6223 0.0645
Ni 0.6891 0.0858 0.0858
Ni 0.9142 0.3109 0.9142
Ni 0.9142 0.9142 0.3109
Ni 0.9355 0.3777 0.3777
Pt 0.5000 0.5000 0.5000



DFT (PBE) results for crystalline Y2Ga3NiPt4 at its relaxed geometry.

Lattice parameters (Å, degrees): 4.0601 4.0601 11.0829 90.00 90.00 90.00
Positions (direct):
Y 0.0000 0.5000 0.2394
Y 0.5000 0.0000 0.7606
Ga 0.0000 0.0000 0.0000
Ga 0.0000 0.5000 0.6363
Ga 0.5000 0.0000 0.3637
Ni 0.5000 0.5000 0.0000
Pt 0.0000 0.0000 0.5000
Pt 0.0000 0.5000 0.8586
Pt 0.5000 0.0000 0.1414
Pt 0.5000 0.5000 0.5000



DFT (PBE) results for crystalline YGa4Ni2Pt at its relaxed geometry.

Lattice parameters (Å, degrees): 9.0948 9.0948 9.0948 26.37 26.37 26.37
Positions (direct):
Y 0.0000 0.0000 0.0000
Ga 0.1258 0.1258 0.1258
Ga 0.3994 0.3994 0.3994
Ga 0.6006 0.6006 0.6006
Ga 0.8742 0.8742 0.8742
Ni 0.2338 0.2338 0.2338
Ni 0.7662 0.7662 0.7662
Pt 0.5000 0.5000 0.5000



DFT (PBE) results for crystalline Y2Ga2NiPt5 at its relaxed geometry.

Lattice parameters (Å, degrees): 9.6908 9.6908 3.6981 90.00 90.00 90.00
Positions (direct):
Y 0.1750 0.3250 0.0000
Y 0.3250 0.8250 0.0000
Y 0.6750 0.1750 0.0000
Y 0.8250 0.6750 0.0000
Ga 0.1261 0.6261 0.0000
Ga 0.3739 0.1261 0.0000
Ga 0.6261 0.8739 0.0000
Ga 0.8739 0.3739 0.0000
Ni 0.0000 0.0000 0.0000
Ni 0.5000 0.5000 0.0000
Pt 0.0000 0.5000 0.5000
Pt 0.0608 0.8020 0.5000
Pt 0.1980 0.0608 0.5000
Pt 0.3020 0.5608 0.5000
Pt 0.4392 0.3020 0.5000
Pt 0.5000 0.0000 0.5000
Pt 0.5608 0.6980 0.5000
Pt 0.6980 0.4392 0.5000
Pt 0.8020 0.9392 0.5000
Pt 0.9392 0.1980 0.5000



DFT (PBE) results for crystalline ZnGa2Ni7Pt2 at its relaxed geometry.

Lattice parameters (Å, degrees): 3.3675 3.3675 14.1216 96.50 96.50 90.00
Positions (direct):
Zn 0.0000 0.0000 0.0000
Ga 0.1740 0.1740 0.3632
Ga 0.8260 0.8260 0.6368
Ni 0.0646 0.5645 0.1374
Ni 0.2677 0.2677 0.5361
Ni 0.4355 0.9354 0.8626
Ni 0.5000 0.5000 0.0000
Ni 0.5645 0.0646 0.1374
Ni 0.7323 0.7323 0.4639
Ni 0.9354 0.4355 0.8626
Pt 0.3668 0.3668 0.7197
Pt 0.6332 0.6332 0.2803



| no. | formation energy (eV per atom) | calculated volume (Å³ per cell) | spin magnetization (μB/f.u.) |
| --- | --- | --- | --- |
| 1 | -0.156 | 158 | 0.3 |
| 2 | -0.084 | 151 | 2.1 |

Work order:
Please find "0.4428 0.9426" and "0.4392 0.3020" in the lines earlier on, and print these two lines and those between.

Completed:
Ni 0.4428 0.9426 0.8674
Ni 0.5000 0.5000 0.0000
Ni 0.5572 0.0574 0.1326
Ni 0.7338 0.7338 0.4636
Ni 0.9426 0.4428 0.8674
Pt 0.3786 0.3786 0.7224
Pt 0.6214 0.6214 0.2776



DFT (PBE) results for crystalline V2Ga2Ni7Pt at its relaxed geometry.

Lattice parameters (Å, degrees): 3.6426 3.6426 11.4039 90.00 90.00 90.12
Positions (direct):
V 0.0000 0.0000 0.1766
V 0.0000 0.0000 0.8234
Ga 0.5000 0.5000 0.1892
Ga 0.5000 0.5000 0.8108
Ni 0.0000 0.0000 0.5000
Ni 0.0000 0.5000 0.3363
Ni 0.0000 0.5000 0.6637
Ni 0.2546 0.7454 0.0000
Ni 0.5000 0.0000 0.3363
Ni 0.5000 0.0000 0.6637
Ni 0.7454 0.2546 0.0000
Pt 0.5000 0.5000 0.5000



DFT (PBE) results for crystalline YGaNiPt3 at its relaxed geometry.

Lattice parameters (Å, degrees): 7.0173 7.0173 5.6776 90.00 90.00 132.33
Positions (direct):
Y 0.1818 0.8182 0.7500
Y 0.8182 0.1818 0.2500
Ga 0.1295 0.8705 0.2500
Ga 0.8705 0.1295 0.7500
Ni 0.3777 0.6223 0.7500
Ni 0.6223 0.3777 0.2500
Pt 0.2511 0.2511 0.0000
Pt 0.2511 0.2511 0.5000
Pt 0.3249 0.6751 0.2500
Pt 0.6751 0.3249 0.7500
Pt 0.7489 0.7489 0.0000
Pt 0.7489 0.7489 0.5000



DFT (PBE) results for crystalline Y2Ga3Ni12Pt at its relaxed geometry.

Lattice parameters (Å, degrees): 9.6573 9.6573 9.6573 35.50 35.50 35.50
Positions (direct):
Y 0.1412 0.1412 0.1412
Y 0.8588 0.8588 0.8588
Ga 0.0000 0.5000 0.5000
Ga 0.5000 0.0000 0.5000
Ga 0.5000 0.5000 0.0000
Ni 0.0645 0.6223 0.6223
Ni 0.0858 0.0858 0.6891
Ni 0.0858 0.6891 0.0858
Ni 0.3109 0.9142 0.9142
Ni 0.3777 0.3777 0.9355
Ni 0.3777 0.9355 0.3777
Ni 0.6223 0.0645 0.6223
Ni 0.6223 0.6223 0.0645
Ni 0.6891 0.0858 0.0858
Ni 0.9142 0.3109 0.9142
Ni 0.9142 0.9142 0.3109
Ni 0.9355 0.3777 0.3777
Pt 0.5000 0.5000 0.5000



DFT (PBE) results for crystalline Y2Ga3NiPt4 at its relaxed geometry.

Lattice parameters (Å, degrees): 4.0601 4.0601 11.0829 90.00 90.00 90.00
Positions (direct):
Y 0.0000 0.5000 0.2394
Y 0.5000 0.0000 0.7606
Ga 0.0000 0.0000 0.0000
Ga 0.0000 0.5000 0.6363
Ga 0.5000 0.0000 0.3637
Ni 0.5000 0.5000 0.0000
Pt 0.0000 0.0000 0.5000
Pt 0.0000 0.5000 0.8586
Pt 0.5000 0.0000 0.1414
Pt 0.5000 0.5000 0.5000



DFT (PBE) results for crystalline YGa4Ni2Pt at its relaxed geometry.

Lattice parameters (Å, degrees): 9.0948 9.0948 9.0948 26.37 26.37 26.37
Positions (direct):
Y 0.0000 0.0000 0.0000
Ga 0.1258 0.1258 0.1258
Ga 0.3994 0.3994 0.3994
Ga 0.6006 0.6006 0.6006
Ga 0.8742 0.8742 0.8742
Ni 0.2338 0.2338 0.2338
Ni 0.7662 0.7662 0.7662
Pt 0.5000 0.5000 0.5000



DFT (PBE) results for crystalline Y2Ga2NiPt5 at its relaxed geometry.

Lattice parameters (Å, degrees): 9.6908 9.6908 3.6981 90.00 90.00 90.00
Positions (direct):
Y 0.1750 0.3250 0.0000
Y 0.3250 0.8250 0.0000
Y 0.6750 0.1750 0.0000
Y 0.8250 0.6750 0.0000
Ga 0.1261 0.6261 0.0000
Ga 0.3739 0.1261 0.0000
Ga 0.6261 0.8739 0.0000
Ga 0.8739 0.3739 0.0000
Ni 0.0000 0.0000 0.0000
Ni 0.5000 0.5000 0.0000
Pt 0.0000 0.5000 0.5000
Pt 0.0608 0.8020 0.5000
Pt 0.1980 0.0608 0.5000
Pt 0.3020 0.5608 0.5000
Pt 0.4392 0.3020 0.5000